Chapter 195

Name:The Sacred Ding Author:geng su
Although the dozens of black feather giant vultures compiled by Tongbei Dachang are not particularly excellent in blood, they can also grab thousands of kilograms of grain bags and fly over Jueling. After domestication and spiritual training, these black feather giant vultures flew over the refugee camp under the control of the vulture trainer, tore up grain bags, and let thousands of kilograms of grain sprinkle directly into the camp below.

This is to prevent a small amount of food from being intercepted by the refugee army stranded in the camp, so as to ensure that more hungry people can get food and save their lives.

The chilly and vigorous winds on the Jue mountain roar. These vigorous winds can directly hurt the souls of humans and animals. Even when the xuanxiu disciples of the spirit setting realm stand on the top of those ice covered Jue mountains, they will feel difficult to breathe, and their skin and flesh seem to be about to be blown off by the vigorous wind.

The valleys and streams between the snow peaks are mostly above the snow line. The cold wind roars and the Gangsha goes to the bone, like thousands of needles and hundreds of needles.

Strange birds like black feather vultures can hardly catch heavy objects and fly long distances in such a harsh environment. Fortunately, Chen Hai transferred more than a dozen giant vultures to take turns, flying three or five times a day and throwing five or six thousand kilograms of food into each refugee camp, which can barely save the lives of the hungry people.

At this time, at the north foot of YeHu mountain, which is still regarded as a "battlefield", the main forward force led by the baggage camp and Tu Ziji is still advancing slowly; The recruitment of prisoners of war and the relief of hungry people are carried out in an orderly manner. The work is done in detail and takes a lot of time.

When the third refugee camp was opened without blood, Yao Xuan and others returned to taste it at this time, and then they noticed a lot of wrongs.

Years ago, hundreds of thousands of rebels coerced Tongbei Prefecture, and a large number of people fled into the deep mountains at the north foot. Although a large number of people starved to death before, and corpses were everywhere, filling the valley around the camp, it is reasonable that the proportion of surviving rebels in these camps should not be lower than that of the coerced Qintong hungry people.

When occupying every refugee camp, prisoners of war and hungry people will make statistics.

During the occupation of the third refugee camp, the number of rebel prisoners of war recruited by Qianfeng was less than 50000. In addition, there were more than 200000 hungry people who were kidnapped from Tongbei government and the old, weak women and children who survived among the rebels.

Seeing such a proportion, Yao Xuan would be too slow to be suspicious.

Yao Xuan and his father Yao Qitai participated in almost all the Qintong wars from beginning to end. Especially when he retreated to Zuojin valley with Chen Hai, he saw with his own eyes that the rebels gathered at the north foot of Qintong mountain were the most powerful at that time.

At that time, in addition to the exile rebels, there were nearly 100000 elite thief soldiers with black scarves and complete armour; Before the main force of the Xiyuan army rushed to the rescue, the rebels who withdrew to the deep mountains at the north foot of the Qintong mountains in advance will die. Since there are no 700000 or 700000, it will not be less than 500000.

The rebels left the old, weak, women and children and the hungry people who were forced to go north in the mountains. Where did so many refugee soldiers and nearly 100000 black scarf thieves go? Have you broken your wings and flew out of qintongshan?

After all, Yao Xuan was not stupid. After seeing the doubt, he immediately took the excuse to lead his guard to leave YeHu ridge in advance. He didn't want to participate in the subsequent war, so he directly returned to Leiyang valley.

Chen Hai doesn't care what strategies Yao Qitai, Yao Xuan's father and son and other generals loyal to the crown prince Yingdan will take after discovering all this; Regardless of whether Wen Boyuan and fan Chun are determined killers, he directly detains or kills the generals loyal to Yingdan -- Chen Hai continues to do the work of relieving the hungry with the cooperation of Tu Ziji and Fan Cheng.

Although the refugee army left more than 100000 soldiers in the camp around YeHu ridge, at this moment, there were still 70000 people left, all of whom were weak enough to have little combat power. Tu Ziji led his troops to disarm these rebel soldiers without blood.

In addition, nearly 300000 people in Tongbei Prefecture who had been coerced into the mountain by the rebels still survived.

Regardless of a large number of deaths and injuries along the way, only the valleys near the refugee military camp were cleaned up, with nearly 200000 corpses. Chen Hai can even feel that these valleys are full of strong resentment.

Chen Hai didn't like the red eyebrow sect before. At this moment, he wondered whether Fang Leyi had made the right decision to bring back the military training record to the red eyebrow sect.

Of course, Chen Hai's feelings for this land are still indifferent.

Su Ling's inner shock was too severe. Although she tried to bear it in front of Chen Hai and didn't want to expose her real thoughts to Chen Hai, she was almost possessed by the devil in both practices. Her feet Jueyin and hands Jueyin were badly hurt by tearing. It was not easy to cultivate her accomplishments in the later stage of the spirit setting, and suddenly returned to the middle of the spirit setting.

-- Unrelated to this text: materials data --
┌──
Starting from a DFT-relaxed cell (PBE, Alexandria), the XRD peak list of CuH2CBrN2 was calculated for Cu Kα, 1.54184 Å.
Intensities are scaled so that the largest is 100.

Atomic structure:
a = 8.6691 Å, b = 3.8709 Å, c = 12.9514 Å
α = 90.00°, β = 90.00°, γ = 90.00°
Fractional positions:
Cu 0.1191 0.2500 0.0549
Cu 0.3809 0.7500 0.5549
Cu 0.6191 0.2500 0.4451
Cu 0.8809 0.7500 0.9451
H 0.1255 0.2500 0.2774
H 0.1923 0.2500 0.4052
H 0.3077 0.7500 0.9052
H 0.3745 0.7500 0.7774
H 0.6255 0.2500 0.2226
H 0.6923 0.2500 0.0948
H 0.8077 0.7500 0.5948
H 0.8745 0.7500 0.7226
C 0.0403 0.7500 0.6134
C 0.4597 0.2500 0.1134
C 0.5403 0.7500 0.8866
C 0.9597 0.2500 0.3866
Br 0.0334 0.2500 0.8695
Br 0.4666 0.7500 0.3695
Br 0.5334 0.2500 0.6305
Br 0.9666 0.7500 0.1305
N 0.1025 0.2500 0.3546
N 0.1694 0.7500 0.5857
N 0.3306 0.2500 0.0857
N 0.3975 0.7500 0.8546
N 0.6025 0.2500 0.1454
N 0.6694 0.7500 0.9143
N 0.8306 0.2500 0.4143
N 0.8975 0.7500 0.6454

Largest 10 diffraction maxima, by angle, 5° ≤ 2θ ≤ 70°:
(1 0 1), 7.204 Å, intensity 100.0
(0 0 2), 6.476 Å, intensity 17.7
(2 0 0), 4.335 Å, intensity 19.6
(1 1 1), 3.410 Å, intensity 22.6
(0 0 4), 3.238 Å, intensity 12.7
(1 1 2), 3.102 Å, intensity 26.8
(2 1 0), 2.887 Å, intensity 21.8
(3 1 1), 2.279 Å, intensity 12.6
(0 1 5), 2.153 Å, intensity 12.5
(1 1 6), 1.842 Å, intensity 18.4

----------

No. 1
Simulated powder diffraction line list of AlCd5Au6 for Cu Kα (weighted mean of Kα1 and Kα2), from a GGA-PBE-relaxed structure.

Structure:
a = 14.554 Å, b = 7.085 Å, c = 4.668 Å
α = 90.00°, β = 108.35°, γ = 90.00°
Space group C2/m (No. 12)
Inequivalent atoms, fractional coordinates:
Al 0.000 0.000 0.000
Cd 0.000 0.500 0.000
Cd 0.158 0.500 0.660
Cd 0.189 0.000 0.694
Au 0.000 0.210 0.500
Au 0.153 0.227 0.158

Peak list (10 most intense, 2θ = 15–90°, by intensity)
37.3°, I 100, hkl 2 2 1; 37.4°, I 98, hkl 4 2 -1; 38.6°, I 53, hkl 2 0 -2; 39.1°, I 40, hkl 6 0 0; 68.9°, I 17, hkl 0 2 3; 66.2°, I 17, hkl 2 4 -2; 69.1°, I 16, hkl 6 2 -3; 51.6°, I 15, hkl 0 4 0; 55.9°, I 15, hkl 4 0 2; 27.1°, I 14, hkl 2 0 1

---

No. 2
Simulated powder diffraction line list of AlCdAu3 for Cu Kα (weighted mean of Kα1 and Kα2), from a GGA-PBE-relaxed structure.

Structure:
a = 7.491 Å, b = 6.745 Å, c = 7.714 Å
α = 90.00°, β = 100.20°, γ = 90.00°
Space group P2_1/c (No. 14)
Inequivalent atoms, fractional coordinates:
Al 0.064 0.241 0.347
Cd 0.373 0.562 0.287
Au 0.143 0.639 0.935
Au 0.207 0.022 0.107
Au 0.410 0.181 0.465

Peak list (10 most intense, 2θ = 15–90°, by intensity)
41.9°, I 100, hkl 0 3 1; 37.9°, I 90, hkl 1 1 -3; 31.7°, I 73, hkl 2 1 1; 36.6°, I 60, hkl 2 2 -1; 36.3°, I 59, hkl 1 2 -2; 39.3°, I 54, hkl 2 1 2; 40.0°, I 50, hkl 3 0 -2; 27.6°, I 49, hkl 2 1 0; 39.4°, I 43, hkl 2 2 1; 23.4°, I 39, hkl 0 0 2

---

No. 3
Simulated powder diffraction line list of Ho2Al3CdAu4 for Cu Kα (weighted mean of Kα1 and Kα2), from a GGA-PBE-relaxed structure.

Structure:
a = 4.285 Å, b = 4.285 Å, c = 11.189 Å
α = 90.00°, β = 90.00°, γ = 90.00°
└──

Being possessed by evil leads to damage to the spiritual pulse, which is extremely fatal to xuanxiu disciples. It may mean that she can no longer recover her previous cultivation in her life - Chen Hai's original cultivation was abandoned, but the spiritual pulse was destroyed.

Nearly 400000 prisoners of war and starving people are extremely weak and have many injuries. Even if they receive food aid, hundreds of people still die every day, let alone transfer so many people immediately.

Fortunately, after the summer, the northern foot of Qintong mountain survived the most difficult famine, and the grain storage in Tongbei warehouse was still abundant. Although it was very difficult to transport into YeHu mountain, it would not cut off the cooking food.

Chen Hai organized people to help the hungry people in YeHu ridge while arranging the hungry people to be transferred out with the baggage convoy in batches. The pressure on YeHu ridge is also decreasing day by day.

Naturally, the starving people in Tongbei Prefecture are arranged to return home, and some of the exile rebels, who are themselves the people of Tongbei Prefecture, are confused about arranging to return home; There are more than 50000 defectors in Tongbei Prefecture. Even if they are not executed, they will be demoted as slaves according to the law, or given to the participating generals as booty, or directly incorporated into the baggage camp for hard labor.

However, these prisoners of war are too weak. Although a large number of prisoners of war die every day after the normal catering, no general will be willing to accept such booty, and they are completely unqualified to serve as hard labor. Some generals even suggest killing them directly.

Chen Hai finally pocketed the remaining 50000 prisoners of war at the cost of five million kilograms of precision forged iron or 50000 kilograms of quenched gold and iron ingots.

At present, it is a big loss.

Although the famine in Tongbei Prefecture and Nanzhang prefecture has survived the most difficult time, a large number of people are still willing to sell their children and women, or directly sell themselves as slaves.

You don't need 100 Jin of fine wrought iron to get a strong slave worker; The more than 50000 prisoners of war in YeHu ridge are too weak. Some people will die one after another. Even if more than half of them can survive, their bodies almost collapse. They can't work for more than half a year in the early rehabilitation. In addition to wasting food, they also need to use a lot of healing drugs for them.

There are frequent wars in various counties. The medicine for nourishing qi and blood is much more precious than food.

Chen Hai did not care what others said. Five million kilograms of precision forged iron ingots could be delayed first. First, he arranged baggage and vehicles to transfer these prisoners of war to juquanling in batches.

After the six refugee camps were occupied, the whereabouts of the main rebel forces could no longer be concealed.

From YeHu mountain to the northeast, there are snow mountains and Jue mountains. Even the lowest mountain pass is above the snow line. However, in front of these mountain passes, rebels who died of freezing, starvation and falling can be seen at any time.

The main force of the vanguard could not quickly cross these Jueling valleys. Chen Hai and Tu Ziji led an elite guard to track down along the road, climbed over many Jueling mountains and pursued thousands of miles east. More than 30000 rebels were killed along the way.

Moreover, starting from the last refugee camp, with the extension of Jueling Road, there are more and more people on the side of the road. Chen Hai even saw two or three hundred people freezing in the mountain depression on his way.

These rebels must be left behind. If they can't keep up with the big forces, they can only stay and wait for death, and they don't have the strength to return to the departure camp.

Chen Hai didn't know what the rebels were thinking before they died. He and Tu Ziji finally stopped at the top of a snow peak that was more than ten thousand feet high and the face was like a knife cutting and needle. They no longer pursued eastward. Yao Qitai and Yao Xuan may have bypassed Wen Boyuan and fan Chun and reported everything that happened in the north foot of Qintong mountain to the Taiwei house, Tell the prince to win Dan.

Even if Yao Qitai, Yao Xuan and other generals loyal to the crown prince Yingdan have been detained by Wen Boyuan and fan Chun, they have delayed long enough north of YeHu ridge -- if the rebels are not ready to raid Jiyang Huben army at this time, it may be meaningless for them to delay any longer.

Looking at the top of the vast snowfield in the East, those rebel bodies, standing or lying, continued to extend eastward, becoming more and more dense, and there was no end at a glance. Chen Hai was used to seeing scenes in the blood cloud wasteland, and his heart was still slightly palpitating.

Although Chen Hai had long expected that the main rebel force would use the secret crossing plan to cross the snow mountain Jueling at the eastern foot of Qintong and sneak into Jiyang and other northern counties, Wen Boyuan and fan Chun naturally pretended to be crazy and deliberately indulged, Chen Hai could hardly imagine that the main rebel force would continue to cross the remaining two or three thousand miles of snow mountain Jueling until Jiyang County, How many people can survive.

quarter? one-third?

No more than that.

At this time, Chen Hai can't imagine the decisive courage of the rebels. Only then can he think of climbing over the endless snow mountains and jumping from qintongshan to Jiyang County

"The old thief is in danger!" Tu Ziji was shocked when he saw this scene, but he was more concerned about the changes in the war situation after the rebels left Qintong mountain east, overlooking the distant snow peak, clenched his fist and said ruthlessly.

In the seventy third year of emperor Yitian, civil unrest broke out in all counties of Yanzhou, and the situation in Jiyang, Qintong and other places was extremely dangerous. Dozens of bandits in Jiyang and other northern counties jointly formed the black Yan army to plunder the county government and the phimi they were facing.

On the recommendation of Ying Wang Yingshu, Ning zhizejia, the master of the Ning family's valve and the general of chariots and horses, was awarded the general of Zhu state. He led more than 10000 elite soldiers of the Ning family and 150000 elite tigers and wolves of the tiger Ben army into Jiyang to suppress bandits.

Ning's family is the mother family of the crown princess. Even Ning chaner, the future grand concubine, is also the adopted daughter of Ning's family. Naturally, Ning's family is also the strongest supporter of crown prince Yingdan and the most effective help for crown prince Yingdan to take charge of the national government and suppress dissidents.

During the reign of Prince Yingdan, Ning naturally took advantage of it. In order to seize the military power of Huben, he even spared no effort to create a large number of unjust prisons, trap dissidents, and create a large number of human relations tragedies, which offended many people.